Now count the lines below that contain the word "Forces" and give the number alone.

ORCA calculation (ωB97M-V/def2-TZVPD) on a molecular structure, C5H10S in a non-equilibrium geometry.

The calculation puts the gap between HOMO and LUMO at 0.3320 Ha. The LUMO energy is 0.6 eV.

```
16
Properties=species:S:1:pos:R:3:forces:R:3
S -0.9385 -1.9072 -1.2608 -0.53 -0.59 1.41
C -0.2937 -1.1349 0.2220 -0.29 -0.53 0.76
C -0.2549 1.0747 1.2005 -4.23 1.25 6.76
C 0.6040 -2.3463 -1.9771 3.56 2.61 3.59
C 0.0889 2.4484 0.9400 3.75 4.68 -0.71
C -0.3827 0.2412 0.0972 -1.58 -5.26 -0.79
H -0.3949 2.5645 -0.2925 1.84 0.78 3.91
H -1.4526 1.4114 1.5577 2.43 -1.85 -0.86
H -0.2150 3.3631 1.8371 0.36 -2.96 -3.10
H 1.0936 -1.3120 -2.2668 -0.58 -2.66 -0.30
H 1.3723 2.5331 1.0524 -3.45 0.16 -1.22
H 1.3520 -2.9036 -1.2247 -1.62 1.55 -1.10
H -0.0150 -1.9823 1.2221 -0.52 3.35 -3.21
H 0.3866 -3.1327 -2.5674 -0.32 -1.88 -3.33
H -1.0618 0.5189 -0.7617 1.49 0.19 0.67
H 0.1117 0.5637 2.2222 -0.32 1.17 -2.50
```
Forces are in eV/Å.

Löwdin atomic charge list, values in e, 4 entries:
1 S 0.75
2 C -0.44
3 C -0.46
4 C -0.47

***

ORCA calculation (ωB97M-V/def2-TZVPD) on a single C5H10S2 molecule in a non-equilibrium geometry.

The calculation puts the gap between HOMO and LUMO at 0.3578 Ha. The LUMO energy is 0.7 eV.

```
17
Properties=species:S:1:pos:R:3:forces:R:3
S -0.0792 2.4532 -0.7901 0.09 -0.39 -0.45
S -2.2951 0.5641 -1.5702 0.66 0.27 0.10
C 0.7333 -0.4743 1.0331 1.86 2.85 -0.01
C 0.4141 -0.0587 -2.0172 0.41 1.40 -1.61
C -0.4321 -0.1542 0.5584 -0.66 1.05 -3.88
C 0.9386 -0.9744 2.4247 2.99 -0.32 0.00
C -0.4720 0.6822 -1.0606 -3.12 -1.87 3.87
H 1.5740 0.0876 0.4669 -0.76 -1.58 1.16
H 1.6332 -0.2233 3.0530 -1.66 -1.92 -1.33
H -1.3200 -0.5215 1.0452 -0.69 0.41 -0.22
H -1.3370 2.9169 -0.7145 0.10 -0.17 0.06
H -2.6543 -0.5424 -0.9001 0.25 0.04 0.01
H 0.5497 -1.0836 -1.6358 0.41 0.57 -0.44
H 1.4341 -1.9704 2.2762 0.29 0.85 0.68
H 1.3154 0.6458 -1.9957 -0.38 -1.85 -0.58
H -0.0469 -0.0879 -3.1041 1.06 0.21 2.22
H 0.0442 -1.2592 2.9306 -0.86 0.45 0.41
```
Forces are in eV/Å.

Löwdin atomic charge list, values in e, 4 entries:
1 S 0.69
2 S 0.66
3 C -0.26
4 C -0.21

***

ORCA calculation (ωB97M-V/def2-TZVPD) on a single C5H10Si molecule in a non-equilibrium geometry.

The calculation puts the gap between HOMO and LUMO at 0.3654 Ha. The LUMO energy is 0.8 eV.

```
16
Properties=species:S:1:pos:R:3:forces:R:3
Si -0.6409 0.1218 -0.6127 -0.04 0.32 0.09
C 2.0515 0.6297 -0.2241 -0.62 2.93 0.88
C -2.3567 -0.1670 0.1174 1.64 0.87 1.00
C 0.5640 -1.1217 0.1653 -0.90 -3.68 -1.48
C 0.0902 1.5934 0.2878 3.35 -2.28 -2.69
C 1.9442 -0.6581 -0.1037 0.28 -2.03 -1.02
H 0.5093 -2.2509 -0.2139 -0.41 2.21 0.91
H -2.8696 -0.9301 -0.3385 -1.34 -1.88 -1.23
H 2.9932 1.1936 -0.3268 -0.79 0.04 -0.13
H 0.2830 -1.1144 1.2115 0.19 -0.21 0.46
H 2.7201 -1.4769 -0.4227 -1.11 1.92 0.93
H -0.5949 0.1006 -2.1514 0.04 0.22 1.01
H 0.1722 1.4525 1.3348 -0.06 0.39 0.97
H -2.0988 -0.5325 1.1034 0.12 -0.35 0.48
H -3.0395 0.6227 0.3524 -0.20 0.87 -0.44
H 0.2724 2.5372 -0.1787 -0.14 0.65 0.26
```
Forces are in eV/Å.

Löwdin atomic charge list, values in e, 4 entries:
1 Si 0.55
2 C -0.02
3 C -0.21
4 C -0.34

***

ORCA calculation (ωB97M-V/def2-TZVPD) on a molecular structure, C5H11AgCl4NiO5P in a non-equilibrium geometry.

The calculation puts the gap between HOMO and LUMO (alpha / beta) at 0.2876 / 0.2553 Ha. The spin multiplicity is 4. The LUMO energy (alpha / beta) is -1.9 / -2.7 eV.

```
28
Properties=species:S:1:pos:R:3:forces:R:3
Ag 1.4187 0.3683 -2.4612 -0.10 -0.34 1.45
Ni -1.9828 -0.1626 -2.5871 4.16 -0.14 -0.46
Cl 0.4527 2.6605 -0.9570 -0.12 0.00 -0.72
Cl 1.7254 -5.6706 3.2305 -0.41 0.39 0.10
Cl -1.4593 5.3956 1.6772 -0.48 0.07 0.46
Cl 3.5148 -2.8047 3.0210 -1.11 -0.04 0.20
P -0.2689 0.3270 -4.7080 -0.21 0.79 0.31
O 1.2372 0.2335 -4.5527 -0.05 -0.77 -2.47
O -0.4084 -0.6190 -1.1754 -1.13 1.18 -2.20
O -1.0784 -0.8795 -4.1792 -1.14 -2.23 -1.31
O -0.9240 1.3103 -5.7343 0.92 -1.72 0.44
O -0.6223 1.1373 -3.4623 -1.97 3.71 3.12
C -0.3536 3.3163 0.4726 0.38 -0.09 0.53

3